_Material_
<<<
VASP calculation (PBE-GGA) on a relaxed structure of Na14Ti4Si11Sn4SO48.

Cell lengths 9.0351, 15.6379, 22.2022 Å; angles 89.86, 89.92, 89.98 degrees
Space group P1 (No. 1)
Asymmetric unit:
Na1 0.0000 0.0000 0.0000 (multiplicity 1)
Na2 0.0003 0.3311 0.6663 (multiplicity 1)
Na3 0.0012 0.6996 0.6669 (multiplicity 1)
Na4 0.0032 0.3662 0.9991 (multiplicity 1)
Na5 0.1271 0.1974 0.1657 (multiplicity 1)
Na6 0.1292 0.1680 0.8330 (multiplicity 1)
Na7 0.1320 0.5345 0.8330 (multiplicity 1)
Na8 0.1336 0.4973 0.4995 (multiplicity 1)
Na9 0.1353 0.8349 0.1663 (multiplicity 1)
Na10 0.1349 0.8678 0.4989 (multiplicity 1)
Na11 0.1801 0.1820 0.4993 (multiplicity 1)
Na12 0.1830 0.5141 0.1658 (multiplicity 1)
Na13 0.3040 0.0127 0.4150 (multiplicity 1)
Na14 0.3113 0.6888 0.7505 (multiplicity 1)
Na15 0.3143 0.3509 0.5846 (multiplicity 1)
Na16 0.3137 0.3517 0.0808 (multiplicity 1)
Na17 0.3256 0.0125 0.9162 (multiplicity 1)
Na18 0.3274 0.6867 0.2501 (multiplicity 1)
Na19 0.4419 0.1825 0.9992 (multiplicity 1)
Na20 0.4460 0.5138 0.6670 (multiplicity 1)
Na21 0.4946 0.8691 0.9991 (multiplicity 1)
Na22 0.4960 0.8359 0.6662 (multiplicity 1)
Na23 0.4966 0.4969 0.9978 (multiplicity 1)
Na24 0.4976 0.1678 0.3326 (multiplicity 1)
Na25 0.5001 0.1995 0.6664 (multiplicity 1)
Na26 0.6290 0.6989 0.1668 (multiplicity 1)
Na27 0.6313 0.6652 0.8328 (multiplicity 1)
Na28 0.6329 0.9992 0.4996 (multiplicity 1)
Na29 0.6360 0.3317 0.1656 (multiplicity 1)
Na30 0.6370 0.3665 0.4989 (multiplicity 1)
Na31 0.6788 0.6829 0.4983 (multiplicity 1)
Na32 0.6835 0.3479 0.8319 (multiplicity 1)
Na33 0.6855 0.0177 0.1650 (multiplicity 1)
Na34 0.8046 0.5120 0.4149 (multiplicity 1)
Na35 0.8081 0.1805 0.7493 (multiplicity 1)
Na36 0.8151 0.8523 0.5825 (multiplicity 1)
Na37 0.8164 0.5170 0.9163 (multiplicity 1)
Na38 0.8165 0.8514 0.0826 (multiplicity 1)
Na39 0.8271 0.1868 0.2489 (multiplicity 1)
Na40 0.9491 0.0173 0.6649 (multiplicity 1)
Na41 0.9534 0.6837 0.9987 (multiplicity 1)
Na42 0.9976 0.6676 0.3327 (multiplicity 1)
Ti1 0.3132 0.0160 0.0638 (multiplicity 1)
Ti2 0.3146 0.3483 0.9343 (multiplicity 1)
Ti3 0.3168 0.3478 0.7311 (multiplicity 1)
Ti4 0.3201 0.3401 0.2272 (multiplicity 1)
Ti5 0.3269 0.3427 0.4380 (multiplicity 1)
Ti6 0.8061 0.8459 0.9371 (multiplicity 1)
Ti7 0.8073 0.1861 0.8995 (multiplicity 1)
Ti8 0.8108 0.8437 0.7278 (multiplicity 1)
Ti9 0.8166 0.1825 0.1009 (multiplicity 1)
Ti10 0.8190 0.1829 0.6014 (multiplicity 1)
Ti11 0.8195 0.8427 0.2279 (multiplicity 1)
Ti12 0.8249 0.8445 0.4370 (multiplicity 1)
Si1 0.0216 0.0174 0.1648 (multiplicity 1)
Si2 0.0264 0.3474 0.8330 (multiplicity 1)
Si3 0.0256 0.6820 0.4974 (multiplicity 1)
Si4 0.1037 0.1825 0.9980 (multiplicity 1)
Si5 0.1067 0.8512 0.3325 (multiplicity 1)
Si6 0.1107 0.5155 0.6670 (multiplicity 1)
Si7 0.1685 0.2044 0.3328 (multiplicity 1)
Si8 0.1681 0.8318 0.9989 (multiplicity 1)
Si9 0.1679 0.8708 0.6672 (multiplicity 1)
Si10 0.1686 0.1628 0.6677 (multiplicity 1)
Si11 0.1703 0.5360 0.9979 (multiplicity 1)
Si12 0.4587 0.4933 0.8328 (multiplicity 1)
Si13 0.4599 0.5364 0.4980 (multiplicity 1)
Si14 0.4614 0.8731 0.1661 (multiplicity 1)
Si15 0.4618 0.2031 0.8334 (multiplicity 1)
Si16 0.4631 0.1587 0.1661 (multiplicity 1)
Si17 0.4641 0.8315 0.4991 (multiplicity 1)
Si18 0.5190 0.5158 0.1656 (multiplicity 1)
Si19 0.5252 0.8530 0.8328 (multiplicity 1)
Si20 0.5300 0.1815 0.4985 (multiplicity 1)
Si21 0.6065 0.3503 0.3324 (multiplicity 1)
Si22 0.6072 0.6825 0.9983 (multiplicity 1)
Si23 0.6131 0.0177 0.6654 (multiplicity 1)
Si24 0.6680 0.3275 0.0002 (multiplicity 1)
Si25 0.6679 0.3681 0.6665 (multiplicity 1)
Si26 0.6679 0.6626 0.6664 (multiplicity 1)
Si27 0.6689 0.7048 0.3324 (multiplicity 1)
Si28 0.6699 0.0389 0.9994 (multiplicity 1)
Si29 0.9597 0.0383 0.4986 (multiplicity 1)
Si30 0.9615 0.7073 0.8325 (multiplicity 1)
Si31 0.9618 0.6607 0.1676 (multiplicity 1)
Si32 0.9631 0.3294 0.5000 (multiplicity 1)
Si33 0.9625 0.3691 0.1668 (multiplicity 1)
Sn1 0.3031 0.0164 0.2689 (multiplicity 1)
Sn2 0.3129 0.6843 0.1006 (multiplicity 1)
>>>
_What to do_
It remains to echo the lines earlier on from the one with "Na35 0.8081" to the one with "Si16 0.4631" unchanged.
_Worked solution_
Na35 0.8081 0.1805 0.7493 (multiplicity 1)
Na36 0.8151 0.8523 0.5825 (multiplicity 1)
Na37 0.8164 0.5170 0.9163 (multiplicity 1)
Na38 0.8165 0.8514 0.0826 (multiplicity 1)
Na39 0.8271 0.1868 0.2489 (multiplicity 1)
Na40 0.9491 0.0173 0.6649 (multiplicity 1)
Na41 0.9534 0.6837 0.9987 (multiplicity 1)
Na42 0.9976 0.6676 0.3327 (multiplicity 1)
Ti1 0.3132 0.0160 0.0638 (multiplicity 1)
Ti2 0.3146 0.3483 0.9343 (multiplicity 1)
Ti3 0.3168 0.3478 0.7311 (multiplicity 1)
Ti4 0.3201 0.3401 0.2272 (multiplicity 1)
Ti5 0.3269 0.3427 0.4380 (multiplicity 1)
Ti6 0.8061 0.8459 0.9371 (multiplicity 1)
Ti7 0.8073 0.1861 0.8995 (multiplicity 1)
Ti8 0.8108 0.8437 0.7278 (multiplicity 1)
Ti9 0.8166 0.1825 0.1009 (multiplicity 1)
Ti10 0.8190 0.1829 0.6014 (multiplicity 1)
Ti11 0.8195 0.8427 0.2279 (multiplicity 1)
Ti12 0.8249 0.8445 0.4370 (multiplicity 1)
Si1 0.0216 0.0174 0.1648 (multiplicity 1)
Si2 0.0264 0.3474 0.8330 (multiplicity 1)
Si3 0.0256 0.6820 0.4974 (multiplicity 1)
Si4 0.1037 0.1825 0.9980 (multiplicity 1)
Si5 0.1067 0.8512 0.3325 (multiplicity 1)
Si6 0.1107 0.5155 0.6670 (multiplicity 1)
Si7 0.1685 0.2044 0.3328 (multiplicity 1)
Si8 0.1681 0.8318 0.9989 (multiplicity 1)
Si9 0.1679 0.8708 0.6672 (multiplicity 1)
Si10 0.1686 0.1628 0.6677 (multiplicity 1)
Si11 0.1703 0.5360 0.9979 (multiplicity 1)
Si12 0.4587 0.4933 0.8328 (multiplicity 1)
Si13 0.4599 0.5364 0.4980 (multiplicity 1)
Si14 0.4614 0.8731 0.1661 (multiplicity 1)
Si15 0.4618 0.2031 0.8334 (multiplicity 1)
Si16 0.4631 0.1587 0.1661 (multiplicity 1)